### Work order
Next, find the line underneath that holds "0.3206 0.1764", then restate that line and all lines after it there.
### Data
/*
1.
A plane-wave DFT calculation with meta-GGA r2SCAN was carried out for an optimized crystal structure of O.

calculated formation energy: 0.019 eV/atom
offset from the most stable computed form: 19 meV/atom

Cell lengths 3.2466, 3.2466, 4.1464 Å; angles 112.18, 112.18, 89.46 degrees
Positions (direct):
O 0.0722 0.0722 0.1735
O 0.9278 0.9278 0.8265

2.
A plane-wave DFT calculation with meta-GGA r2SCAN was carried out for an optimized crystal structure of O.

calculated formation energy: 0.165 eV/atom
offset from the most stable computed form: 165 meV/atom

Cell lengths 4.1243, 3.0036, 4.0951 Å; angles 70.19, 90.00, 90.00 degrees
Positions (direct):
O 0.3206 0.3236 0.3415
O 0.3206 0.1764 0.6585
O 0.6794 0.6764 0.6585
O 0.6794 0.8236 0.3415

3.
A plane-wave DFT calculation with meta-GGA r2SCAN was carried out for an optimized crystal structure of O.

calculated formation energy: 0.012 eV/atom
offset from the most stable computed form: 12 meV/atom

Cell lengths 3.3006, 3.3006, 4.3629 Å; angles 61.70, 61.70, 60.49 degrees
Positions (direct):
O 0.9745 0.9745 0.1556
O 0.0255 0.0255 0.8444

4.
A plane-wave DFT calculation with meta-GGA r2SCAN was carried out for an optimized crystal structure of O.

calculated formation energy: 0.004 eV/atom
offset from the most stable computed form: 4 meV/atom

Cell lengths 5.6898, 5.6898, 4.2562 Å; angles 67.89, 67.89, 76.60 degrees
Positions (direct):
O 0.6934 0.2321 0.1636
O 0.7679 0.3066 0.8364
O 0.3066 0.7679 0.8364
O 0.2321 0.6934 0.1636
O 0.7299 0.7299 0.1589
O 0.2701 0.2701 0.8411
O 0.8048 0.8048 0.8317
O 0.1952 0.1952 0.1683

5.
A plane-wave DFT calculation with meta-GGA r2SCAN was carried out for an optimized crystal structure of O.

calculated formation energy: 0.168 eV/atom
offset from the most stable computed form: 168 meV/atom

Cell lengths 4.1347, 3.0062, 4.1169 Å; angles 70.56, 90.00, 90.00 degrees
Positions (direct):
O 0.3211 0.3215 0.3427
O 0.3211 0.1785 0.6573
O 0.6789 0.6785 0.6573
O 0.6789 0.8215 0.3427

6.
A plane-wave DFT calculation with meta-GGA r2SCAN was carried out for an optimized crystal structure of O.

calculated formation energy: 0.028 eV/atom
offset from the most stable computed form: 28 meV/atom

Cell lengths 6.4219, 6.4219, 4.2354 Å; angles 66.58, 66.58, 76.14 degrees
Positions (direct):
O 0.6812 0.2510 0.1672
O 0.7490 0.3188 0.8328
O 0.3188 0.7490 0.8328
O 0.2510 0.6812 0.1672
O 0.7438 0.7438 0.1590
O 0.2562 0.2562 0.8410
O 0.8111 0.8111 0.8245
O 0.1889 0.1889 0.1755

no.,final energy (eV per atom)
1,-5.9531
2,-5.8076
3,-5.9607
4,-5.9690
5,-5.8044
6,-5.9446

* * * * *

[1]
# MgV8O8F8

An optimized crystal structure of MgV8O8F8 (PBE+U, the Materials Project database).

Geometry as POSCAR:
```
MgV8O8F8
1.0
4.735 -1.832 -0.221
-4.085 -9.893 1.371
-1.259 -1.308 -5.356
Mg V O F
1 8 8 8
Direct
0.245 0.046 0.850 Mg
0.536 0.286 0.716 V
0.532 0.975 0.491 V
0.538 0.733 0.214 V
0.499 0.516 0.978 V
0.975 0.249 0.265 V
0.029 0.754 0.721 V
0.013 0.496 0.485 V
0.974 0.975 0.272 V
0.836 0.338 0.506 O
0.721 0.104 0.308 O
0.734 0.826 0.461 O
0.718 0.578 0.246 O
0.324 0.444 0.717 O
0.313 0.685 0.945 O
0.184 0.929 0.616 O
0.137 0.141 0.079 O
0.819 0.583 0.749 F
0.824 0.819 0.978 F
0.627 0.063 0.792 F
0.727 0.350 0.012 F
0.336 0.909 0.155 F
0.247 0.181 0.545 F
0.209 0.680 0.445 F
0.223 0.427 0.217 F
```

crystal system	triclinic
ΔE_f	-2.66	eV/atom
energy above the most stable polymorph in this dataset	52.4	meV per atom

***

[2]
# MgV4O5F7

An optimized crystal structure of MgV4O5F7 (PBE+U, the Materials Project database).

Geometry as POSCAR:
```
MgV4O5F7
1.0
-5.139 0.001 -0.039
-2.573 -4.905 0.053
0.064 -3.086 8.656
Mg V O F
1 4 5 7
Direct
0.946 0.117 0.639 Mg
0.753 0.491 0.255 V
0.468 0.967 0.475 V
0.308 0.489 0.766 V
0.032 0.988 0.012 V
0.520 0.742 0.378 O
0.402 0.765 0.076 O
0.381 0.786 0.671 O
0.583 0.248 0.922 O
0.057 0.254 0.435 O
0.892 0.794 0.587 F
0.915 0.760 0.174 F
0.979 0.256 0.119 F
0.553 0.253 0.322 F
0.507 0.282 0.626 F
0.014 0.785 0.861 F
0.063 0.260 0.802 F
```
*/
### Worked solution
O 0.3206 0.1764 0.6585
O 0.6794 0.6764 0.6585
O 0.6794 0.8236 0.3415

3.
A plane-wave DFT calculation with meta-GGA r2SCAN was carried out for an optimized crystal structure of O.

calculated formation energy: 0.012 eV/atom
offset from the most stable computed form: 12 meV/atom

Cell lengths 3.3006, 3.3006, 4.3629 Å; angles 61.70, 61.70, 60.49 degrees
Positions (direct):
O 0.9745 0.9745 0.1556
O 0.0255 0.0255 0.8444

4.
A plane-wave DFT calculation with meta-GGA r2SCAN was carried out for an optimized crystal structure of O.

calculated formation energy: 0.004 eV/atom
offset from the most stable computed form: 4 meV/atom

Cell lengths 5.6898, 5.6898, 4.2562 Å; angles 67.89, 67.89, 76.60 degrees
Positions (direct):
O 0.6934 0.2321 0.1636
O 0.7679 0.3066 0.8364
O 0.3066 0.7679 0.8364
O 0.2321 0.6934 0.1636
O 0.7299 0.7299 0.1589
O 0.2701 0.2701 0.8411
O 0.8048 0.8048 0.8317
O 0.1952 0.1952 0.1683

5.
A plane-wave DFT calculation with meta-GGA r2SCAN was carried out for an optimized crystal structure of O.

calculated formation energy: 0.168 eV/atom
offset from the most stable computed form: 168 meV/atom

Cell lengths 4.1347, 3.0062, 4.1169 Å; angles 70.56, 90.00, 90.00 degrees
Positions (direct):
O 0.3211 0.3215 0.3427
O 0.3211 0.1785 0.6573
O 0.6789 0.6785 0.6573
O 0.6789 0.8215 0.3427

6.
A plane-wave DFT calculation with meta-GGA r2SCAN was carried out for an optimized crystal structure of O.

calculated formation energy: 0.028 eV/atom
offset from the most stable computed form: 28 meV/atom

Cell lengths 6.4219, 6.4219, 4.2354 Å; angles 66.58, 66.58, 76.14 degrees
Positions (direct):
O 0.6812 0.2510 0.1672
O 0.7490 0.3188 0.8328
O 0.3188 0.7490 0.8328
O 0.2510 0.6812 0.1672
O 0.7438 0.7438 0.1590
O 0.2562 0.2562 0.8410
O 0.8111 0.8111 0.8245
O 0.1889 0.1889 0.1755

no.,final energy (eV per atom)
1,-5.9531
2,-5.8076
3,-5.9607
4,-5.9690
5,-5.8044
6,-5.9446

* * * * *

[1]
# MgV8O8F8

An optimized crystal structure of MgV8O8F8 (PBE+U, the Materials Project database).

Geometry as POSCAR:
```
MgV8O8F8
1.0
4.735 -1.832 -0.221
-4.085 -9.893 1.371
-1.259 -1.308 -5.356
Mg V O F
1 8 8 8
Direct
0.245 0.046 0.850 Mg
0.536 0.286 0.716 V
0.532 0.975 0.491 V
0.538 0.733 0.214 V
0.499 0.516 0.978 V
0.975 0.249 0.265 V
0.029 0.754 0.721 V
0.013 0.496 0.485 V
0.974 0.975 0.272 V
0.836 0.338 0.506 O
0.721 0.104 0.308 O
0.734 0.826 0.461 O
0.718 0.578 0.246 O
0.324 0.444 0.717 O
0.313 0.685 0.945 O
0.184 0.929 0.616 O
0.137 0.141 0.079 O
0.819 0.583 0.749 F
0.824 0.819 0.978 F
0.627 0.063 0.792 F
0.727 0.350 0.012 F
0.336 0.909 0.155 F
0.247 0.181 0.545 F
0.209 0.680 0.445 F
0.223 0.427 0.217 F
```

crystal system	triclinic
ΔE_f	-2.66	eV/atom
energy above the most stable polymorph in this dataset	52.4	meV per atom

***

[2]
# MgV4O5F7

An optimized crystal structure of MgV4O5F7 (PBE+U, the Materials Project database).

Geometry as POSCAR:
```
MgV4O5F7
1.0
-5.139 0.001 -0.039
-2.573 -4.905 0.053
0.064 -3.086 8.656
Mg V O F
1 4 5 7
Direct
0.946 0.117 0.639 Mg
0.753 0.491 0.255 V
0.468 0.967 0.475 V
0.308 0.489 0.766 V
0.032 0.988 0.012 V
0.520 0.742 0.378 O
0.402 0.765 0.076 O
0.381 0.786 0.671 O
0.583 0.248 0.922 O
0.057 0.254 0.435 O
0.892 0.794 0.587 F
0.915 0.760 0.174 F
0.979 0.256 0.119 F
0.553 0.253 0.322 F
0.507 0.282 0.626 F
0.014 0.785 0.861 F
0.063 0.260 0.802 F
```